Finally, a post I know many of you have been waiting for. As I'm sure you all know I got married last October and was crazy enough to make not only my wedding dress, but a separate dress for the reception. I don't have as many construction pictures of my wedding dress as I would like. But that's par for the course I guess. The pattern I used for my wedding dress was the
1934 Evening Gown With Drop Sleeves from the
Vintage Pattern Lending Library.
The VPLL ships fast and does a very nice job in packing your order. Look how nice my little bundle of patterns were! I ordered three patterns in all. Each time you purchase a pattern, or leave a review, you earn points towards future purchasing. They patterns are printed on a nice quality paper. The instructions are pretty clear and easy to follow with some additional information provided as well.
Material: Cs2TePdF
Method: DFT, PBE
State: relaxed

The structure in CIF format:
```
data_Cs2TePdF
_chemical_formula_sum 'Cs2 Te1 Pd1 F1'
_symmetry_space_group_name_H-M 'P 1'
_symmetry_Int_Tables_number 1
_cell_length_a 7.246
_cell_length_b 7.246
_cell_length_c 4.946
_cell_angle_alpha 90.00
_cell_angle_beta 90.00
_cell_angle_gamma 90.00
loop_
_symmetry_equiv_pos_as_xyz
'x,y,z'
loop_
_atom_site_label
_atom_site_type_symbol
_atom_site_fract_x
_atom_site_fract_y
_atom_site_fract_z
Cs1 Cs 0.000 0.500 0.000
Cs2 Cs 0.500 0.000 0.000
Te1 Te 0.000 0.000 0.000
Pd1 Pd 0.000 0.000 0.500
F1 F 0.500 0.500 0.500
```

Summary:
The energy relative to the elements, uncorrected is -443 kJ/mol of formula units. The space group is P4/mmm (123). As for the density of states at the Fermi level: 9.6 states/eV per cell. The final energy comes out at -3.3017 eV/atom. Its crystal system is tetragonal.

=====

The following is a DFT calculation (PBE) of a geometry-optimized LiPr2Cd structure.

The structure belongs to space group Fm-3m (No. 225); the cell edges are 7.731, 7.731 and 7.731 Å and the angles 90.00°, 90.00° and 90.00°. The inequivalent atoms are Li at (0.000, 0.000, 0.000), Pr at (0.250, 0.250, 0.250) and Cd at (0.000, 0.000, 0.500).

The value obtained for the formation energy is -0.122 eV per atom. The calculation puts the polymorph energy (0 for the lowest one) at 0.09 kcal/mol of atoms. The calculation puts the density at 5.77 Mg/m³.

***

The following is a DFT calculation (PBE) of a geometry-optimized NdMgScHg structure.

The structure belongs to space group F-43m (No. 216); the cell edges are 7.416, 7.416 and 7.416 Å and the angles 90.00°, 90.00° and 90.00°. The inequivalent atoms are Nd at (0.000, 0.000, 0.000), Mg at (0.250, 0.250, 0.250), Sc at (0.000, 0.000, 0.500) and Hg at (0.250, 0.250, 0.750).

The value obtained for the formation energy is -0.232 eV per atom. The calculation puts the polymorph energy (0 for the lowest one) at 0.50 kcal/mol of atoms. The calculation puts the density at 6.74 Mg/m³.

***

The following is a DFT calculation (PBE) of a geometry-optimized Dy5Er3Sc3 structure.

The structure belongs to space group P-62m (No. 189); the cell edges are 9.2833, 9.2833 and 5.4568 Å and the angles 90.00°, 90.00° and 120.00°. The inequivalent atoms are Dy at (0.0000, 0.7457, 0.0000), Dy at (0.3333, 0.6667, 0.0000), Er at (0.0000, 0.5342, 0.5000) and Sc at (0.0000, 0.3783, 0.0000).

The value obtained for the formation energy is 0.788 eV per atom. The calculation puts the density at 5.91 Mg/m³.

***

The following is a DFT calculation (PBE) of a geometry-optimized PaInPd4 structure.

The structure belongs to space group Cmcm (No. 63); the cell edges are 4.135, 19.365 and 5.688 Å and the angles 90.00°, 90.00° and 90.00°. The inequivalent atoms are Pa at (0.000, 0.083, 0.250), In at (0.000, 0.229, 0.750), Pd at (0.000, 0.072, 0.750), Pd at (0.000, 0.351, 0.005) and Pd at (0.000, 0.500, 0.000).

My first task after receiving my pattern from the VPLL was to resize it. While the VPLL does offer some patterns in multiple sizes, this was not one of them. It was reproduced in its original size - a 38" bust which I am not. I made a quick mock up to help with resizing the pattern. All was going well until I cut into my lining material. In my hurry to complete the dress I forgot to add my seam allowance! Even with tiny 1/4" seams the dress was going to be too snug. Uuugh! I had enough material to cut a new lining for the basic dress but not enough for the train. Feeling frustrated and very annoyed with myself I tossed the project in the corner of the sewing room and didn't touch it for about two weeks. In the mean time I had to hunt for more lining material. I thought finding more of the same off white cotton muslin would be an easy task. Wrong!! I never realized how many shades of "off white" cotton there would be.
This pattern actually goes together rather well, despite my fitting issues. For the bodice I treated the lace and lining as one. The lace pieces were first basted to the lining and then the bodice was sewn together. Next the bias tape binding was added to the neck edges and arm holes. I didn't have any white or off white on hand so I used peach which I think made a nice contrast to the lace.
The skirt is constructed to two sections - upper and lower with additional fabric added for the train. Again, lots of basting with the lace mounted first on the cotton lining. The two photos below show the lower back sections of the skirt. Because Cori and I had not moved into the new house yet, and thus I had no sewing space of my own, I worked on my dress at my parents' house. It's a good thing they have a giant dinning room table!
Here you can see the lower front section of the skirt.
Here is where it got a little tricky sewing wise. The zig zag edges of the upper and lower skirt sections are lapped which meant, yep you guessed it. LOTS of pinning and basting. I used colored thread so the basting stitches would be easy to see when it came time to take them out. The lapped seam makes for a nice neat finish but was fiddly due to the lace and excess fabric of the train. Ahhhh huge wedding train!! :)
I like using these extra long quilting pins. Plus the butterflies are kind of cute.
The hem of the cotton lining was finished off with bias tape. I made a small rolled hem for the lace section. The dress closes at the left side with a placket and snaps. The belt was made with a layer cotton fabric and fusible interfacing with the lace mounted on top right sides together. Then the belt was turned right side out and pressed. The rhinestone buckle is from a 1930s dress in my collection which sadly is in very poor condition.
The most obvious changes I made to the pattern, other then the size, were to omit the extra large fluffy
sleeves and to add a RIDICULOUSLY long train. I made a slight change to
== Here the article breaks off for materials data ==
/*
Entry 1:
Density functional theory data (PBE-GGA) for a relaxed structure of HgBAs2Pb.

Properties
As for the formation energy: 0.6650 eV per atom. The size of the total moment comes out at 0.000 μB/atom. The energy is -3.332 eV/atom.

Cell: 4.9183 4.9183 4.8126 Å, 90.00 90.00 90.00°
Last column: nearest neighbours and their distance in Å.
Space group P4/mmm (No. 123)
Symmetry-distinct sites (fractional):
Hg: 0.0000 0.0000 0.0000 [1 per cell]  2 B 2.41
B: 0.0000 0.0000 0.5000 [1 per cell]  2 Hg 2.41, 4 As 2.46
As: 0.0000 0.5000 0.5000 [2 per cell]  2 B 2.46
Pb: 0.5000 0.5000 0.0000 [1 per cell]  8 As 3.44, 4 Hg 3.48

Entry 2:
Density functional theory data (PBE-GGA) for a relaxed structure of YEr3Sc2Se6.

Properties
The uncorrected formation energy comes out at -1667 meV/atom. The size of the total moment comes out at 0.000 μB/atom. The energy is -6.144 eV/atom.

Cell: 6.8982 12.0012 6.9268 Å, 90.00 109.44 90.00°
Last column: nearest neighbours and their distance in Å.
Space group C2/m (No. 12)
Symmetry-distinct sites (fractional):
Y: 0.0000 0.0000 0.0000 [2 per cell]  6 Se 2.84-2.87
Er: 0.0000 0.1603 0.5000 [4 per cell]  6 Se 2.84-2.87
Er: 0.0000 0.5000 0.5000 [2 per cell]  6 Se 2.80-2.88
Sc: 0.0000 0.3350 0.0000 [4 per cell]  6 Se 2.75-2.79
Se: 0.2367 0.5000 0.2404 [4 per cell]  2 Sc 2.75, 3 Er 2.80-2.84, 1 Y 2.84
Se: 0.2466 0.3279 0.7545 [8 per cell]  2 Sc 2.78-2.79, 3 Er 2.84-2.88, 1 Y 2.87

~~~~~

# 1
Compound: Ir2OsSe
Source: the Alexandria database
Functional: PBE
Structure: relaxed

Total magnetization = 0.453 μB/f.u.
Calculated volume = 61.25 Å³ per cell
ΔE_f (raw) = 0.66 eV/atom

a = 2.803 Å, b = 4.687 Å, c = 4.661 Å
α = 90.00°, β = 90.00°, γ = 90.00°
Fractional positions:
Ir  0.000  0.000  0.000
Ir  0.500  0.500  0.000
Os  0.500  0.000  0.500
Se  0.000  0.500  0.500

***

# 2
Compound: IrOsSe2
Source: the Alexandria database
Functional: PBE
Structure: relaxed

Total magnetization = 0.000 μB/f.u.
Calculated volume = 64.01 Å³ per cell
Relative energy among the computed polymorphs = 375 meV per atom
ΔE_f (raw) = 0.52 eV/atom

a = 8.199 Å, b = 8.199 Å, c = 8.199 Å
α = 21.35°, β = 21.35°, γ = 21.35°
Fractional positions:
Se  0.003  0.003  0.003
Os  0.750  0.750  0.750
Se  0.497  0.497  0.497
Ir  0.250  0.250  0.250

***

What did the first record say?
Compound: Ir2OsSe
Source: the Alexandria database
Functional: PBE
Structure: relaxed

Total magnetization = 0.453 μB/f.u.
Calculated volume = 61.25 Å³ per cell
ΔE_f (raw) = 0.66 eV/atom

a = 2.803 Å, b = 4.687 Å, c = 4.661 Å
α = 90.00°, β = 90.00°, γ = 90.00°
Fractional positions:
Ir  0.000  0.000  0.000
Ir  0.500  0.500  0.000
Os  0.500  0.000  0.500
Se  0.000  0.500  0.500
*/
the neckline and added darts to the bodice as well. The original
neckline hit right across my collar bone which would have been OK except
that I would not have been able to wear a necklace of any kind. This
realization, of course, came
after I had assembled the bodice and
added all the bias tape around the edges. Grrr. My quick solution was
to make an inch and a half slash down the very center front and turn the
edges under. Not very neat but at that point I didn't care and just wanted the dress
Here you can see the changes I made to the neckline. If I were to make this dress again I would keep the original rounded neckline.
And the finished dress.
I have very few construction pictures of my reception dress and most of those are just a pile of lace fabric with my cat happily holding it down. Black cat, white happens. My reception dress was made from the same lace fabric as my wedding dress and Advance 8269 which I purchased on Ebay. It was sewn very quickly the week of the wedding. Crazy I know, but I really wanted a shorter dress for the reception. It has some fitting issues that should be reworked at some point but I'll worry about that if I ever have the opportunity to wear the dress again.
Summary of the Pattern
Fabric: Cotton-ish lace with plastic sequins and 100% cotton lining all from JoAnn's Fabric.
Pattern: 1934 Evening Gown With Drop Sleeves from the
Vintage Pattern Lending Library.
Year: 1930s
Notions: Bias tape, snaps, thread, rhinestone buckle all from the stash.
How historically accurate is it? Very, but it's really more 1930s evening then wedding. Although you do see lots of 30s evening gowns with trains, this one is really much too long for true evening wear. Wedding gowns of the 30s and 40s were mostly long sleeved too.
Any tricky parts to the pattern? Attaching the skirt bottom to the skirt top using a lapped seam. Part of the difficulty was due to the excess amount of fabric in the train.
Did you change anything? Left off the sleeves, slashed the neckline, and added the train. And of course resized the pattern.
Time to complete: ummm, hard to say. There was a lot start and stop with this. I worked on it over the course of 2 months. I started working on resizing the pattern sometime in July and finished the dress a couple weeks before the wedding.
First worn: October 10, 2014
Total cost: $16.50 for the pattern
You can read more about my wedding day
here and